What's New

What’s New 7.15

Represent Values of Drop-down Fields with Icons You can now set icons to represent values for your drop-down fields, making it easier to interpret information at a glance. This enhancement provides instant visual recognition of the values when viewing them on workitems be it in the List view or the Board view.

What’s New 7.14

Conduct Retrospectives with NimbleRetro! With the Retrospectives option now in Nimble, you can seamlessly navigate to NimbleRetro to run your retrospectives online. Collaborate with your team, uncover root causes with the 5 Whys method, and create actionable insights. Plus, easily transfer action items back to Nimble to ensure follow-through and continuous improvement. Learn more here.

What’s New 7.13

Biometric Authentication in Nimble Mobile App We’ve made it easier and more secure to log into Nimble mobile with Biometric Authentication. Now, you can use fingerprint or facial recognition (depending on your device’s capability) to quickly and safely access the app. Learn more here.                

What’s New 7.12

This release is focused on providing greater reliability so that you get a smoother experience across the application. We will soon be back with another release.

What’s New 7.11

Dynamic Date Criteria in Pivot Table The Pivot Table widget in Nimble Analytics now offers the following key improvements to remove the need for frequent and manual updates to the date criteria: Dynamic Date Range: Users can now set dynamic date ranges such as Current Week, Current Month, Current Quarter, and more so that the […]

What’s New 7.10

Data records that have nothing to do with the page.
Theoretical powder X-ray diffraction pattern
Compound: CdHg2Te4
Radiation: Cu Kα X-rays
Structure: a DFT-relaxed cell (GGA-PBE, Alexandria)

The 10 most intense peaks (10° ≤ 2θ ≤ 80°), low angle first:
Position (°2θ)  d/Å  I/Imax
21.85  4.067  15
22.96  3.873  27
30.11  2.968  16
30.78  2.905  13
30.94  2.890  18
33.00  2.714  100
41.60  2.171  35
48.04  1.894  15
49.17  1.853  15
70.47  1.336  22

Structural model:
a = 4.342 Å, b = 4.342 Å, c = 11.620 Å
α = 90.00°, β = 90.00°, γ = 90.00°
Space group P-4m2 (No. 115)
Unique sites:
Cd 0.000 0.000 0.000 (multiplicity 1)
Hg 0.000 0.500 0.777 (multiplicity 2)
Te 0.000 0.000 0.500 (multiplicity 1)
Te 0.000 0.500 0.173 (multiplicity 2)
Te 0.500 0.500 0.500 (multiplicity 1)



Theoretical powder X-ray diffraction pattern
Compound: Th4Cd3Hg
Radiation: Cu Kα X-rays
Structure: a DFT-relaxed cell (GGA-PBE, Alexandria)

The 10 most intense peaks (10° ≤ 2θ ≤ 80°), low angle first:
Position (°2θ)  d/Å  I/Imax
30.51  2.930  12
31.57  2.834  34
31.96  2.801  35
34.57  2.595  100
39.09  2.305  19
44.77  2.024  9
51.35  1.779  10
54.22  1.692  14
58.65  1.574  23
64.37  1.447  26

Structural model:
a = 11.202 Å, b = 6.754 Å, c = 5.863 Å
α = 90.00°, β = 90.00°, γ = 90.00°
Space group Pmma (No. 51)
Unique sites:
Th 0.000 0.250 0.000 (multiplicity 4)
Th 0.250 0.250 0.365 (multiplicity 4)
Cd 0.000 0.000 0.500 (multiplicity 2)
Cd 0.250 0.000 0.857 (multiplicity 2)
Cd 0.250 0.500 0.861 (multiplicity 2)
Hg 0.000 0.500 0.500 (multiplicity 2)



Theoretical powder X-ray diffraction pattern
Compound: ThCd4Hg2
Radiation: Cu Kα X-rays
Structure: a DFT-relaxed cell (GGA-PBE, Alexandria)

The 10 most intense peaks (10° ≤ 2θ ≤ 80°), low angle first:
Position (°2θ)  d/Å  I/Imax
24.26  3.669  30
31.79  2.815  33
33.11  2.705  79
33.30  2.690  100
34.79  2.579  47
35.97  2.497  58
36.28  2.476  65
37.27  2.412  65
37.68  2.387  29
38.69  2.327  46

Structural model:
a = 5.490 Å, b = 6.074 Å, c = 6.233 Å
α = 105.65°, β = 100.52°, γ = 108.07°
Space group P-1 (No. 2)
Unique sites:
Th 0.000 0.000 0.000 (multiplicity 1)
Cd 0.023 0.591 0.286 (multiplicity 2)
Cd 0.500 0.500 0.000 (multiplicity 1)
Cd 0.500 0.500 0.500 (multiplicity 1)
Hg 0.425 0.987 0.719 (multiplicity 2)



Theoretical powder X-ray diffraction pattern
Compound: Th3CdHg5
Radiation: Cu Kα X-rays
Structure: a DFT-relaxed cell (GGA-PBE, Alexandria)

The 10 most intense peaks (10° ≤ 2θ ≤ 80°), low angle first:
Position (°2θ)  d/Å  I/Imax
27.25  3.273  11
33.62  2.666  87
33.79  2.653  100
43.93  2.061  16
48.40  1.880  31
56.21  1.637  8
60.33  1.534  31
60.44  1.532  17
67.21  1.393  28
71.07  1.326  10

Structural model:
a = 9.1900 Å, b = 9.1900 Å, c = 6.5464 Å
α = 90.00°, β = 90.00°, γ = 120.00°
Space group P6_3/mcm (No. 193)
Unique sites:
Th 0.0000 0.3496 0.2500 (multiplicity 6)
Cd 0.0000 0.0000 0.0000 (multiplicity 2)
Hg 0.0000 0.3147 0.7500 (multiplicity 6)
Hg 0.3333 0.6667 0.0000 (multiplicity 4)



Theoretical powder X-ray diffraction pattern
Compound: ThCdHg2

Indent/Outdent Multiple Tasks at a Time! Previously, you could only indent or outdent a single task at a time, which was somewhat cumbersome. Now, you can easily indent or outdent multiple tasks simultaneously, allowing you to plan tasks quickly. Manual Progress Tracking in Simple Scheduling Along with timesheet-based progress tracking, we now provide the option […]

What’s New 7.9

Reminder to Save Your Baseline We have now added a reminder that prompts you to save your Current Baseline before checking out a Task Plan second time onwards. This makes sure you don’t miss baselining your Task Plan for effective progress tracking. Example: Schedule & Effort Deviation metrics require Current Baseline information to compute the […]

What’s New 7.8

Organize Data with Customizable Grids You can now add a Data Grid to your forms, making organizing information in a structured table format easier. Both grid and cell-level settings are customizable, allowing you to adjust background colors, alignment, and more. You can also merge or split cells to create complex data structures tailored to your […]

What’s New 7.8.0

Simplified Progress Tracking of Task Plans Now you can track the progress of your Task Plans easily without viewing the Task list. The new fields like Work Complete (%), Planned and Actual Start, and Finish dates & Effort, show data at the Task Plan level. You can use them to easily track overall progress directly […]

What’s New 7.7

In this release, we’ve provided you an option to view your project financials at a glance and quickly view people utilization. Monitor Your Projects’ Key Financial Details You can now monitor your projects in Analytics more effectively by plotting three essential financial details: Allocated Budget, Allocated Cost, and Actual Cost. These fields provide a bird’s-eye […]